'''
Starting from a crystal structure in the Materials Project, relaxed with PBE+U, the powder diffraction line list of V2O3F3 was simulated for copper Kα.
No peak broadening, texture or thermal motion is included.

Largest 12 diffraction maxima, by angle, 2θ from 5° to 70°:
d_spacing, I_rel
3.777, 99.2
3.730, 99.4
3.676, 100.0
2.671, 12.4
2.645, 14.0
2.265, 15.4
1.889, 22.6
1.865, 20.5
1.838, 18.0
1.699, 12.2
1.691, 12.6
1.662, 15.2

Cell and atoms:
```
V2O3F3
1.0
5.186 0.000 0.000
2.556 4.529 0.000
0.158 0.298 13.245
V O F
6 9 9
Cartesian
0.000 0.000 0.000 V
2.741 4.564 6.607 V
2.671 1.757 4.507 V
3.052 1.829 10.959 V
5.056 3.022 2.111 V
5.526 3.085 8.853 V
1.296 2.134 9.840 O
1.330 1.228 5.381 O
3.186 3.110 5.378 O
3.849 3.436 1.024 O
3.842 2.815 9.834 O
4.270 1.990 3.188 O
4.323 1.417 11.991 O
6.462 4.167 1.014 O
6.927 3.631 7.604 O
1.709 2.684 3.175 F
2.363 3.275 12.018 F
1.745 0.667 12.017 F
4.352 4.352 7.642 F
4.934 4.565 3.180 F
3.278 0.253 9.848 F
3.879 0.492 5.327 F
4.944 1.731 7.563 F
5.818 1.594 1.013 F
```


Starting from a crystal structure in the Materials Project, relaxed with PBE+U, the powder diffraction line list of V2O3F was simulated for copper Kα.
No peak broadening, texture or thermal motion is included.

Largest 12 diffraction maxima, by angle, 2θ from 5° to 70°:
d_spacing, I_rel
3.385, 90.4
3.235, 100.0
2.545, 47.9
2.531, 44.4
2.254, 23.3
1.743, 40.3
1.704, 14.4
1.694, 30.5
1.691, 14.0
1.618, 17.9
1.511, 17.3
1.380, 14.4

Cell and atoms:
```
V2O3F
1.0
5.571 0.000 0.000
-2.315 5.091 0.000
-1.238 -2.718 9.334
V O F
8 12 4
Cartesian
0.000 0.000 0.000 V
-1.119 2.500 2.313 V
0.388 -0.217 4.887 V
-0.839 2.324 7.000 V
1.628 2.546 0.000 V
2.856 0.049 2.334 V
1.629 2.590 4.447 V
3.137 -0.127 7.021 V
-2.224 3.273 3.770 O
0.071 1.762 0.904 O
-0.828 0.594 7.961 O
0.251 -1.996 8.439 O
0.305 1.640 5.568 O
1.490 -0.930 6.118 O
0.528 3.302 3.216 O
1.713 0.733 3.766 O
1.767 4.369 0.895 O
2.845 1.778 1.373 O
1.947 0.611 8.430 O
4.242 -0.901 5.564 O
-1.046 0.711 3.297 F
-1.097 4.332 1.378 F
3.115 -1.959 7.956 F
3.063 1.661 6.037 F
```


Starting from a crystal structure in the Materials Project, relaxed with PBE+U, the powder diffraction line list of V3O4F2 was simulated for copper Kα.
No peak broadening, texture or thermal motion is included.

Largest 12 diffraction maxima, by angle, 2θ from 5° to 70°:
d_spacing, I_rel
3.295, 100.0
2.571, 53.2
2.251, 20.7
2.087, 4.4
1.798, 5.5
1.726, 54.3
1.648, 15.4
1.542, 10.8
1.396, 12.0
1.390, 6.9
1.385, 11.1
1.383, 4.5

Cell and atoms:
```
V3O4F2
1.0
3.083 0.000 0.000
0.000 4.670 0.000
0.000 0.000 13.951
V O F
6 8 4
Cartesian
0.000 0.905 0.000 V
0.000 1.173 9.385 V
0.000 1.418 4.851 V
1.542 3.252 11.826 V
1.542 3.497 2.410 V
1.542 3.765 6.976 V
0.000 2.434 12.648 O
0.000 2.588 3.397 O
0.000 4.360 1.509 O
0.000 4.648 6.062 O
1.542 0.022 13.037 O
1.542 0.310 8.484 O
1.542 2.082 10.373 O
1.542 2.236 5.672 O
0.000 2.701 7.957 F
0.000 4.304 10.827 F
1.542 0.366 3.851 F
1.542 1.969 0.981 F
```


Starting from a crystal structure in the Materials Project, relaxed with PBE+U, the powder diffraction line list of V6O5F19 was simulated for copper Kα.
No peak broadening, texture or thermal motion is included.

Largest 12 diffraction maxima, by angle, 2θ from 5° to 70°:
d_spacing, I_rel
4.847, 98.5
3.644, 100.0
3.555, 90.4
2.786, 15.6
2.423, 11.9
2.211, 13.8
1.966, 13.8
1.911, 13.9
1.822, 10.9
1.739, 11.4
1.729, 10.8
1.713, 9.3

Cell and atoms:
```
V6O5F19
1.0
5.397 0.000 0.000
0.159 5.571 0.000
0.079 2.782 14.541
V O F
6 5 19
Cartesian
0.000 0.000 0.000 V
0.082 2.787 4.839 V
0.278 5.154 9.732 V
2.742 2.509 0.176 V
2.824 5.295 5.015 V
3.052 2.568 9.788 V
1.485 1.491 0.437 O
1.570 4.270 5.263 O
4.246 3.851 14.297 O
4.254 3.859 4.579 O
4.690 3.881 9.455 O
0.108 2.658 6.600 F
0.195 5.425 1.760 F
0.927 5.587 8.146 F
0.971 2.789 13.010 F
0.979 2.766 3.310 F
1.720 7.138 10.124 F
1.895 4.214 10.113 F
1.932 1.357 5.306 F
2.015 4.149 0.449 F
2.785 2.819 8.057 F
2.873 5.484 12.960 F
2.883 5.506 3.260 F
'''
Reproduce the rows further above from the line with "7.021" to the end verbatim.
3.137 -0.127 7.021 V
-2.224 3.273 3.770 O
0.071 1.762 0.904 O
-0.828 0.594 7.961 O
0.251 -1.996 8.439 O
0.305 1.640 5.568 O
1.490 -0.930 6.118 O
0.528 3.302 3.216 O
1.713 0.733 3.766 O
1.767 4.369 0.895 O
2.845 1.778 1.373 O
1.947 0.611 8.430 O
4.242 -0.901 5.564 O
-1.046 0.711 3.297 F
-1.097 4.332 1.378 F
3.115 -1.959 7.956 F
3.063 1.661 6.037 F
```


Starting from a crystal structure in the Materials Project, relaxed with PBE+U, the powder diffraction line list of V3O4F2 was simulated for copper Kα.
No peak broadening, texture or thermal motion is included.

Largest 12 diffraction maxima, by angle, 2θ from 5° to 70°:
d_spacing, I_rel
3.295, 100.0
2.571, 53.2
2.251, 20.7
2.087, 4.4
1.798, 5.5
1.726, 54.3
1.648, 15.4
1.542, 10.8
1.396, 12.0
1.390, 6.9
1.385, 11.1
1.383, 4.5

Cell and atoms:
```
V3O4F2
1.0
3.083 0.000 0.000
0.000 4.670 0.000
0.000 0.000 13.951
V O F
6 8 4
Cartesian
0.000 0.905 0.000 V
0.000 1.173 9.385 V
0.000 1.418 4.851 V
1.542 3.252 11.826 V
1.542 3.497 2.410 V
1.542 3.765 6.976 V
0.000 2.434 12.648 O
0.000 2.588 3.397 O
0.000 4.360 1.509 O
0.000 4.648 6.062 O
1.542 0.022 13.037 O
1.542 0.310 8.484 O
1.542 2.082 10.373 O
1.542 2.236 5.672 O
0.000 2.701 7.957 F
0.000 4.304 10.827 F
1.542 0.366 3.851 F
1.542 1.969 0.981 F
```


Starting from a crystal structure in the Materials Project, relaxed with PBE+U, the powder diffraction line list of V6O5F19 was simulated for copper Kα.
No peak broadening, texture or thermal motion is included.

Largest 12 diffraction maxima, by angle, 2θ from 5° to 70°:
d_spacing, I_rel
4.847, 98.5
3.644, 100.0
3.555, 90.4
2.786, 15.6
2.423, 11.9
2.211, 13.8
1.966, 13.8
1.911, 13.9
1.822, 10.9
1.739, 11.4
1.729, 10.8
1.713, 9.3

Cell and atoms:
```
V6O5F19
1.0
5.397 0.000 0.000
0.159 5.571 0.000
0.079 2.782 14.541
V O F
6 5 19
Cartesian
0.000 0.000 0.000 V
0.082 2.787 4.839 V
0.278 5.154 9.732 V
2.742 2.509 0.176 V
2.824 5.295 5.015 V
3.052 2.568 9.788 V
1.485 1.491 0.437 O
1.570 4.270 5.263 O
4.246 3.851 14.297 O
4.254 3.859 4.579 O
4.690 3.881 9.455 O
0.108 2.658 6.600 F
0.195 5.425 1.760 F
0.927 5.587 8.146 F
0.971 2.789 13.010 F
0.979 2.766 3.310 F
1.720 7.138 10.124 F
1.895 4.214 10.113 F
1.932 1.357 5.306 F
2.015 4.149 0.449 F
2.785 2.819 8.057 F
2.873 5.484 12.960 F
2.883 5.506 3.260 F